(Assignment)
Now start at the top of the data underneath and write out each line, ending with the one that has "1.761 -3.669".
(Excerpt)
-- begin --
Entry 1:
Here is one molecule with the formula C3H9N5 in a non-equilibrium geometry from the OMol25 dataset. Energies are from ωB97M-V/def2-TZVPD.

Results
SMILES string = C/N=C(\C=N/N)NN
LUMO level = 1.0 eV

The geometry in XYZ format:
```
17
C3H9N5, DFT ωB97M-V/def2-TZVPD
H -1.227 0.687 -1.198
C 0.070 -2.403 -0.491
N -1.478 0.642 0.845
N 1.702 0.874 0.013
H 1.125 2.298 1.246
N 0.869 -1.187 -0.637
H 0.244 2.254 -0.152
H 0.698 -3.243 -0.105
H -0.739 -2.254 0.230
C -0.395 0.009 1.073
N -1.690 1.132 -0.413
H 2.171 0.868 -0.842
C 0.714 -0.165 0.113
H -0.270 -2.750 -1.471
H -0.356 -0.474 2.064
N 1.185 2.192 0.240
H -2.623 1.519 -0.514
```


Entry 2:
Here is a 6-piece molecular cluster, C23H46FNO16Si overall in a non-equilibrium geometry from the OMol25 dataset. Energies are from ωB97M-V/def2-TZVPD.

Results
SMILES string = N#CO[SiH2]CCF.CCOC(=O)OC.CCOC(=O)OC.CCOC(=O)OC.CCOC(=O)OC.CCOC(=O)OC
LUMO level = -0.4 eV

The geometry in XYZ format:
```
88
C23H46FNO16Si, DFT ωB97M-V/def2-TZVPD
H -5.894 -7.471 -12.115
H -4.703 2.060 6.258
H -5.805 -7.953 -10.382
H 0.425 -1.698 -5.518
O -0.929 -3.722 -6.463
H 0.640 6.901 5.336
H -0.864 2.702 5.568
H 3.815 -1.401 3.247
H -5.854 0.012 7.212
O -3.052 -5.270 -10.694
H 6.190 3.145 -0.495
H 3.291 1.582 2.768
C -0.993 0.349 1.192
H -7.100 0.169 5.975
C -4.258 -5.842 -10.944
H 0.262 -1.465 -2.091
F -1.900 -1.606 -1.840
O -3.412 -1.324 4.543
H -1.740 -1.900 5.655
H 0.126 -3.849 -2.667
H -0.133 8.284 4.535
C 10.268 2.291 2.052
H -5.912 2.145 4.985
H -6.385 2.430 6.679
H 10.219 3.675 3.713
H 10.734 1.476 2.619
H -1.641 -3.802 -3.321
H -2.048 -3.503 -10.506
O -5.289 -0.426 5.247
H -1.503 -0.524 4.518
C -2.336 -3.880 -6.019
H -0.750 -0.899 -3.588
H 1.391 -3.825 -5.231
H 10.645 2.224 1.025
O -1.210 6.543 4.477
O 8.563 3.555 0.361
H -4.999 -8.924 -11.631
H 4.796 0.866 3.374
H 0.598 7.012 3.539
C 8.121 2.770 1.187
H -2.442 2.863 6.326
C 5.925 3.227 0.564
H -3.683 -3.327 -11.140
C -3.557 -3.616 -8.985
H -2.956 -4.186 -8.269
C -6.040 0.352 6.186
Si 0.099 -3.095 -5.187
H -2.084 1.441 5.314
O 6.814 2.471 1.382
O -3.396 -0.157 6.522
C -1.932 2.519 5.419
C -5.746 1.832 6.021
O -0.105 -0.407 2.010
H -0.990 1.396 1.511
H -1.665 -2.182 3.906
O -4.058 -7.165 -11.165
H 10.210 4.460 2.140
C -3.975 -0.601 5.542
H -3.518 3.023 4.065
C -5.264 -7.905 -11.332
H 5.928 4.274 0.883
O -5.337 -5.270 -10.942
H -4.594 -3.935 -8.853
H -0.728 0.267 0.133
O 1.935 -0.807 2.720
O -2.364 4.676 4.384
H -1.939 2.949 3.284
O 8.854 2.071 2.092
C 1.203 -0.108 1.815
C -3.077 -3.868 -10.404
C -1.124 5.210 4.240
C 0.050 7.208 4.466
H 4.917 2.827 0.698
H 11.714 3.744 2.745
C 3.350 -0.586 2.680
C 3.710 0.740 3.327
H 3.300 0.797 4.341
C -2.456 3.259 4.200
H -3.492 -2.552 -8.737
N -3.452 -4.457 -5.626
C 10.628 3.618 2.698
O -0.103 4.593 3.974
H 3.727 -0.654 1.653
C -2.003 -1.485 4.677
C -0.698 -1.725 -2.746
C -0.605 -3.260 -3.404
H -2.002 -0.050 1.326
O 1.645 0.677 0.989
```


Entry 3:
Here is C21H14Br2N2O2S2Ta as an isolated structure from the OMol25 dataset. Energies are from ωB97M-V/def2-TZVPD.

Results
LUMO level = -4.5 eV
Total charge = +1

The geometry in XYZ format:
```
44
C21H14Br2N2O2S2Ta, DFT ωB97M-V/def2-TZVPD
C -0.170 -3.532 0.435
H 2.189 -5.633 -0.059
C 1.087 1.003 -0.466
C 1.761 -3.669 -0.780
S 0.075 -0.319 2.414
H -0.761 -5.537 0.051
H 1.131 -5.580 -1.458
C 1.346 -5.106 -0.500
H -0.759 1.571 -1.425
C 3.318 0.771 0.601
H -3.144 -0.176 -1.862
C -3.667 1.011 1.279
H -6.544 1.849 -0.235
H 1.985 4.790 -1.057
H -5.392 0.767 -2.121
S -2.704 0.994 2.729
C 1.731 3.751 -0.890
O 2.696 -3.280 -1.418
N 0.813 -2.811 -0.187
H 0.306 -5.337 1.429
Ta 0.189 -0.850 0.008
C 0.518 3.257 -1.273
H 5.802 2.966 1.090
C -4.944 1.539 1.140
C 4.842 2.582 0.774
H -5.448 2.005 1.975
H 4.177 4.436 -0.028
C -4.893 0.835 -1.164
C 4.532 1.230 1.014
Br 2.814 -1.039 0.853
C 2.345 1.548 -0.055
C 2.680 2.907 -0.268
C -5.550 1.448 -0.097
C -3.624 0.307 -1.028
C -2.994 0.401 0.211
C 0.209 1.899 -1.070
H -0.210 3.898 -1.749
N -1.714 -0.051 0.588
H 5.239 0.581 1.510
-- stop --
(Solution)
Entry 1:
Here is one molecule with the formula C3H9N5 in a non-equilibrium geometry from the OMol25 dataset. Energies are from ωB97M-V/def2-TZVPD.

Results
SMILES string = C/N=C(\C=N/N)NN
LUMO level = 1.0 eV

The geometry in XYZ format:
```
17
C3H9N5, DFT ωB97M-V/def2-TZVPD
H -1.227 0.687 -1.198
C 0.070 -2.403 -0.491
N -1.478 0.642 0.845
N 1.702 0.874 0.013
H 1.125 2.298 1.246
N 0.869 -1.187 -0.637
H 0.244 2.254 -0.152
H 0.698 -3.243 -0.105
H -0.739 -2.254 0.230
C -0.395 0.009 1.073
N -1.690 1.132 -0.413
H 2.171 0.868 -0.842
C 0.714 -0.165 0.113
H -0.270 -2.750 -1.471
H -0.356 -0.474 2.064
N 1.185 2.192 0.240
H -2.623 1.519 -0.514
```


Entry 2:
Here is a 6-piece molecular cluster, C23H46FNO16Si overall in a non-equilibrium geometry from the OMol25 dataset. Energies are from ωB97M-V/def2-TZVPD.

Results
SMILES string = N#CO[SiH2]CCF.CCOC(=O)OC.CCOC(=O)OC.CCOC(=O)OC.CCOC(=O)OC.CCOC(=O)OC
LUMO level = -0.4 eV

The geometry in XYZ format:
```
88
C23H46FNO16Si, DFT ωB97M-V/def2-TZVPD
H -5.894 -7.471 -12.115
H -4.703 2.060 6.258
H -5.805 -7.953 -10.382
H 0.425 -1.698 -5.518
O -0.929 -3.722 -6.463
H 0.640 6.901 5.336
H -0.864 2.702 5.568
H 3.815 -1.401 3.247
H -5.854 0.012 7.212
O -3.052 -5.270 -10.694
H 6.190 3.145 -0.495
H 3.291 1.582 2.768
C -0.993 0.349 1.192
H -7.100 0.169 5.975
C -4.258 -5.842 -10.944
H 0.262 -1.465 -2.091
F -1.900 -1.606 -1.840
O -3.412 -1.324 4.543
H -1.740 -1.900 5.655
H 0.126 -3.849 -2.667
H -0.133 8.284 4.535
C 10.268 2.291 2.052
H -5.912 2.145 4.985
H -6.385 2.430 6.679
H 10.219 3.675 3.713
H 10.734 1.476 2.619
H -1.641 -3.802 -3.321
H -2.048 -3.503 -10.506
O -5.289 -0.426 5.247
H -1.503 -0.524 4.518
C -2.336 -3.880 -6.019
H -0.750 -0.899 -3.588
H 1.391 -3.825 -5.231
H 10.645 2.224 1.025
O -1.210 6.543 4.477
O 8.563 3.555 0.361
H -4.999 -8.924 -11.631
H 4.796 0.866 3.374
H 0.598 7.012 3.539
C 8.121 2.770 1.187
H -2.442 2.863 6.326
C 5.925 3.227 0.564
H -3.683 -3.327 -11.140
C -3.557 -3.616 -8.985
H -2.956 -4.186 -8.269
C -6.040 0.352 6.186
Si 0.099 -3.095 -5.187
H -2.084 1.441 5.314
O 6.814 2.471 1.382
O -3.396 -0.157 6.522
C -1.932 2.519 5.419
C -5.746 1.832 6.021
O -0.105 -0.407 2.010
H -0.990 1.396 1.511
H -1.665 -2.182 3.906
O -4.058 -7.165 -11.165
H 10.210 4.460 2.140
C -3.975 -0.601 5.542
H -3.518 3.023 4.065
C -5.264 -7.905 -11.332
H 5.928 4.274 0.883
O -5.337 -5.270 -10.942
H -4.594 -3.935 -8.853
H -0.728 0.267 0.133
O 1.935 -0.807 2.720
O -2.364 4.676 4.384
H -1.939 2.949 3.284
O 8.854 2.071 2.092
C 1.203 -0.108 1.815
C -3.077 -3.868 -10.404
C -1.124 5.210 4.240
C 0.050 7.208 4.466
H 4.917 2.827 0.698
H 11.714 3.744 2.745
C 3.350 -0.586 2.680
C 3.710 0.740 3.327
H 3.300 0.797 4.341
C -2.456 3.259 4.200
H -3.492 -2.552 -8.737
N -3.452 -4.457 -5.626
C 10.628 3.618 2.698
O -0.103 4.593 3.974
H 3.727 -0.654 1.653
C -2.003 -1.485 4.677
C -0.698 -1.725 -2.746
C -0.605 -3.260 -3.404
H -2.002 -0.050 1.326
O 1.645 0.677 0.989
```


Entry 3:
Here is C21H14Br2N2O2S2Ta as an isolated structure from the OMol25 dataset. Energies are from ωB97M-V/def2-TZVPD.

Results
LUMO level = -4.5 eV
Total charge = +1

The geometry in XYZ format:
```
44
C21H14Br2N2O2S2Ta, DFT ωB97M-V/def2-TZVPD
C -0.170 -3.532 0.435
H 2.189 -5.633 -0.059
C 1.087 1.003 -0.466
C 1.761 -3.669 -0.780